Sunday, November 29, 2009


We hosted Thanksgiving at our home this year. It was cozy, but fun. We had a wonderful time seeing everyone.

The feast

### Data records that have nothing to do with the entry
-- begin --
No. 1
Molecular formula: C19H28BF4O2Sc
Method: DFT, ωB97M-V/def2-TZVPD

Computed properties:
E_HOMO   -7.893 eV
Relative energy (zero: lowest compared OMol25 entry of this formula, charge and spin)   0.0 kcal per mole
Net charge   0

Structure (XYZ):
```
55
C19H28BF4O2Sc, DFT ωB97M-V/def2-TZVPD
O -1.284 0.822 -2.079
C -2.479 0.144 -2.628
C -2.114 0.541 -4.052
H -3.380 0.657 -2.270
H -2.506 -0.931 -2.412
C -0.954 1.411 -3.404
H -2.949 0.935 -4.627
H -1.641 -0.253 -4.637
C -0.934 2.908 -3.178
H -1.855 3.258 -2.712
H -0.756 3.468 -4.100
H -0.120 3.141 -2.478
C 0.415 1.009 -3.900
H 0.466 -0.058 -4.128
H 1.187 1.247 -3.149
H 0.654 1.572 -4.814
Sc -0.020 0.259 -0.348
C 1.672 -1.658 -0.384
C 0.452 -2.226 0.060
C -0.464 -2.222 -1.038
H 0.284 -2.710 1.015
C 0.208 -1.677 -2.166
C 1.522 -1.297 -1.758
H 2.306 -0.906 -2.410
H 2.595 -1.617 0.186
H -1.461 -2.671 -1.042
H -0.158 -1.706 -3.195
C 1.763 0.995 1.168
C 2.283 1.249 -0.129
C 1.466 2.229 -0.750
H 3.202 0.835 -0.553
C 0.417 2.570 0.158
C 0.621 1.818 1.357
H 0.055 1.919 2.284
H 2.216 0.349 1.924
H 1.697 2.726 -1.691
H -0.367 3.314 -0.013
O -3.583 2.921 -3.453
C -3.254 3.426 -4.802
C -4.526 3.727 -5.605
H -2.608 2.703 -5.348
H -2.678 4.365 -4.704
C -5.671 3.379 -4.651
H -4.592 3.137 -6.526
H -4.489 4.783 -5.893
C -5.011 3.036 -3.298
H -6.199 2.503 -5.047
H -6.380 4.196 -4.586
H -5.399 2.079 -2.930
H -5.274 3.831 -2.578
F -1.459 -0.260 0.905
B -1.280 -0.665 2.631
F -2.213 -1.637 2.753
F 0.050 -1.060 2.658
F -1.543 0.553 3.188
```

=====

No. 2
Molecular formula: C45H48InO2P2SbSe4
Method: DFT, ωB97M-V/def2-TZVPD

Computed properties:
E_HOMO   -7.325 eV
Relative energy (zero: lowest compared OMol25 entry of this formula, charge and spin)   0.0 kcal per mole
Net charge   0

Structure (XYZ):
```
103
C45H48InO2P2SbSe4, DFT ωB97M-V/def2-TZVPD
In -0.117 -0.617 0.242
C -3.012 1.013 1.955
C -1.804 0.638 2.450
C -1.501 -0.735 1.972
C -2.725 -1.145 1.230
C -3.592 -0.101 1.213
C -4.985 -0.085 0.672
C -2.965 -2.532 0.715
C -0.961 -1.724 2.995
C -1.001 1.361 3.488
C -3.729 2.310 2.166
H -5.710 -0.106 1.491
H -5.183 -0.950 0.039
H -5.188 0.814 0.088
H -3.443 -3.156 1.477
H -2.037 -3.029 0.433
H -3.619 -2.527 -0.159
H -0.810 -2.711 2.563
H -1.677 -1.817 3.818
H -0.008 -1.403 3.415
H -0.867 0.730 4.370
H -1.514 2.267 3.814
H 0.001 1.642 3.161
H -4.577 2.194 2.847
H -4.132 2.689 1.223
H -3.074 3.078 2.577
C 0.837 1.520 -3.247
C 1.640 0.243 -3.006
P 2.047 -0.125 -1.260
C 3.248 1.143 -0.791
C 2.813 2.423 -0.449
C 3.724 3.381 -0.032
C 5.069 3.061 0.065
C 5.508 1.787 -0.272
C 4.604 0.829 -0.702
C 2.889 -1.719 -1.321
C 3.054 -2.339 -0.147
C 3.238 -3.810 -0.070
C 3.584 -4.567 -1.379
C 3.511 -3.716 -2.608
C 3.174 -2.429 -2.584
C -0.663 1.396 -2.990
P -1.287 1.488 -1.249
C -0.817 3.166 -0.727
C -0.505 3.361 0.617
C -0.077 4.600 1.073
C 0.045 5.657 0.184
C -0.268 5.476 -1.159
C -0.698 4.239 -1.612
C -3.058 1.588 -1.673
C -3.647 0.468 -2.259
C -4.952 0.527 -2.719
C -5.691 1.694 -2.577
C -5.120 2.800 -1.965
C -3.805 2.752 -1.518
-- stop --
### So much for the data records

Who let the crazy dude hold the baby?

Aunt Kelly meeting Baby S

Me, snuggling Baby S

Grandparents with the kids. Check out J's face...too funny.
Two kids smiling. That's better than the labor day group shot that ended in tears.
Two kids smiling here, but a different two
M and the "useless" cookie. I like how Nick is waiting to clean him up. He doesn't even live with kids, but he knows they are full of food.
J holding Baby S.
Uncle D and J sharing M&M's
I thought I had a picture of H and Kermit, but I guess I was taking pics on someone else's camera. Can someone email me a copy?


Friday, November 6, 2009

New Niece

Our new niece arrived on Monday! She's a tiny beauty. Her brothers are pretty excited about having her home.
Visiting at the hospital
M likes to point out her body parts: this is her hair.
Telling Nana about Baby S
Allison men with their new girl
More kisses
Gifts for baby S
This is her nose
JH: the boy who adores babies.

M holding S

Friday, October 30, 2009

Halloween Hero

It's Halloween time! I made Scott's costume. I bought pumpkins (4 for $10 from the local vegetable stand.) I bought candy for the neighborhood kids (which Scott will pass out because I'm working.) And I bought candy corn for myself.

Candy corn is awesome! Scott sweet talked me early in our relationship with the news that he was the scion of the candy corn inventor. Ah, true love! We were meant for each other what with he being the direct descendant of Halloween hero/candy corn inventor and me loving candy corn so much.

Now Scott always says that it's his great grandfather, but after a bit of research through the box of photographs and piecing together a timeline, I think it's really Linda's great grandfather (but I'm not positive). Which makes it Scott's great great grandfather. Still not too shabby. (Gpa A- are you so proud of my genealogy and research skills?!) Anyway, I was going to treat you to a picture of Candy Corn Man, George Renninger, but I can't figure out who he is. I'm sure some of the tintypes must be he, but they are all (and there are a lot) unidentified. So, instead, I present you with the progeny of Candy corn man.
I think that this picture is the son Frank (front row, 2nd from R) and son-in-law Albert Z. (front row, 2nd from L, with violin) of Candy corn hero. Photo is undated, but I think it was taken late 1800's-early 1900's based on the ages of the (identified) people in other dated photos found in the box.
Baby Blanch Z. (nee Renninger) c. 1885
Blanche Z with brothers Charlie(?) and Frank, perhaps 1890-95
labeled as Blanche 1905?
Blanche and brothers, Ocean City
Blanche and Baby Dot, 1915 or 1916
Blanche and Albert Z, 1940
Blanche and Dot (on right side), 1940
Dot Z. and Eugene S. 1942 (Scott's grandparents)

Maybe one of these days I'll figure out who my hero George is and post a pic of him. Until then, eat candy corn in his memory.

Sunday, October 4, 2009

Racking up the wins

So smaller fields in my cyclocross races this weekend, but regardless I WON both races. No kidding. Saturday's win was assisted by help from a teammate, while on Sunday I simply rode really hard and dropped everyone pretty easily. I even rode easy at times with the gap I had on Sunday knowing I had the win locked up. Ha! Looking forward to racing against BIG fields that are strong. We'll see how fast I really am before I move up to the next category.

Yes, this is 3 wins in a row!!

Pictures from Saturday:

Salute uphill on Saturday. Note closest competitors in background. Yeah baby!!

Pictures from Sunday:
Victory salute in pain on Sunday (it was a tough uphill section). I look like a linebacker.

Sunday, September 27, 2009

Cyclocross season has started!

This weekend was the beginning of my race season. Saturday it was dry until we lined up to race. It poured buckets and thundered during the race. The course turned to mush and was incredibly difficult. I get great experience by sprinting well in the start and basically leading the field the first lap. I took a teammate with me as we gapped the field, but I faded badly to 6th of 21. My teammate ended up winning, so my effort was worth it. We literally rode through a streams that appeared and what was like a small pond. Amazing how the race course can change when you dump 0.25" of rain on it.

Sunday was a different course, faster, still sloppy in places, but more suited to my skills. 16 starters and somehow I chased down a couple guys, incl a teammate, and I WON THE RACE!!! My teammate was 10 sec behind me for second. Great result for us and the team. Podium pictures were taken on other people's cameras. Not the toughest field, but incredible weekend getting to be in the lead of a race for a lap and learn to think about the race differently. Then taking the lead from someone and holding for a lap and not doing something dumb and crashing. Very different things go through your head when you are chasing guys ahead of you vs when you are in the lead!! I even had time to throw up and hands and celebrate. It was awesome!!!

Note TOP name!

Podium baby!!
After race on Saturday in pouring rain. Just a little muddy.
This was DRY before the race started! Talk about a quick change!
Me in the back on Saturday after I pulled the first lap for my teammate in front (who did win 28 minutes later).
First lap on Satuday with me in front. It really is me.

Monday, September 7, 2009

Labor Day

Scott and I enjoyed our long weekend. We went to Lake Wilson with the family and had a great time. The kids were really fun to watch together; we got a kick out of seeing them interact. Here's our morning photo shoot:
All smiles
Oh my! Are those shoes I see?
Pardon me, let me get a better look at those shoes.
No, thank you.
Some remorse. Or maybe she's just not sure what the big deal is.
Aunt Bec and Boys

Our sweet girl
And here's our bag loving kitty...AKA big cat in a little purse.